[Activity]
Next, work out how many lines below have the word "formula" in them; a number is enough.

[Contents]
/*
# 1
ORCA calculation (ωB97M-V/def2-TZVPD) on an isolated ion of composition C3H7N and charge +1 at a distorted geometry.

Each line ends with the Mulliken spin population.
Element x y z (Å)
N (1.45516, 0.75440, 0.30282)  0.07
C (0.81304, -0.29497, -0.48390)  0.04
C (-1.59303, 0.15043, 0.34707)  0.41
C (-0.61947, -0.63012, -0.20741)  0.31
H (1.73678, 0.40625, 1.21253)  0.00
H (0.81632, 1.53484, 0.38645)  0.00
H (1.28086, -1.29146, -0.40355)  0.04
H (1.03235, -0.03281, -1.51038)  0.01
H (-2.61549, 0.09830, -0.01017)  0.04
H (-1.37649, 0.84176, 1.14530)  0.04
H (-0.93002, -1.53662, -0.77878)  0.04

Output
ΔE to the lowest compared entry with this formula, charge and spin = 60.6 kcal per mole
LUMO (alpha / beta) = -5.704 / -9.215 eV
2S+1 = 2
total charge = +1
⟨S²⟩ = 0.7573

***

# 2
ORCA calculation (ωB97M-V/def2-TZVPD) on the molecule C5H9N at a distorted geometry.

Each line ends with the Löwdin charge.
Element x y z (Å)
C (-0.23536, 2.27462, -0.24818)  -0.04
N (-0.16353, 1.21753, 0.42328)  0.04
C (-0.72346, -0.02252, 0.01868)  -0.39
C (-2.01388, -0.26582, 0.23629)  0.04
C (0.28483, -1.10136, -0.22396)  -0.22
C (1.73942, -0.85442, 0.17659)  -0.11
H (0.28476, 3.14175, 0.15792)  0.06
H (-0.60156, 2.54849, -1.23923)  0.08
H (-2.30724, -1.29878, 0.38628)  0.06
H (-2.82778, 0.44217, 0.28801)  0.05
H (0.03578, -1.96175, 0.38034)  0.10
H (0.16765, -1.54857, -1.21058)  0.11
H (1.86699, -0.79938, 1.25677)  0.07
H (2.28395, -1.76475, -0.08500)  0.07
H (2.20941, -0.00721, -0.31719)  0.06

Output
ΔE to the lowest compared entry with this formula, charge and spin = 43.9 kcal per mole
LUMO = 1.087 eV
structure (SMILES) = C=NC(=C)CC

***

# 3
ORCA calculation (ωB97M-V/def2-TZVPD) on C43H54Ge2N3P2RhSe as an isolated structure at a distorted geometry.

Each line ends with the Löwdin charge.
Element x y z (Å)
Rh (-0.66548, -0.27970, -0.01580)  0.55
N (0.52517, 0.26550, 2.69081)  -0.34
P (-0.41297, 1.33312, 1.79865)  0.90
C (0.70463, 2.65888, 1.25213)  -0.35
C (1.90226, 2.91744, 1.91714)  -0.08
C (2.72718, 3.94973, 1.49053)  -0.06
C (2.35379, 4.73599, 0.40878)  -0.06
C (1.15488, 4.49282, -0.24999)  -0.07
C (0.33676, 3.45183, 0.16698)  -0.11
C (-1.56175, 2.10621, 2.93308)  -0.34
C (-2.60101, 2.85448, 2.37746)  -0.09
C (-3.46723, 3.55621, 3.20030)  -0.06
C (-3.30518, 3.50307, 4.57920)  -0.05
C (-2.28079, 2.75114, 5.13486)  -0.06
C (-1.40779, 2.04846, 4.31506)  -0.07
P (1.15401, -0.91741, 1.63697)  0.93
C (0.84479, -2.50789, 2.42418)  -0.38
C (-0.25892, -2.69674, 3.25168)  -0.11
C (-0.52136, -3.94769, 3.79251)  -0.05
C (0.30530, -5.02214, 3.48870)  -0.05
C (1.40447, -4.84205, 2.65910)  -0.05
C (1.67910, -3.58644, 2.13429)  -0.08
C (2.93035, -0.65680, 1.87354)  -0.35
C (3.41542, -0.84150, 3.17209)  -0.08
C (4.74385, -0.57743, 3.45719)  -0.05
C (5.59974, -0.13896, 2.45043)  -0.05
C (5.12582, 0.04076, 1.16150)  -0.05
C (3.78957, -0.21410, 0.87212)  -0.11
H (0.49020, 0.13040, 3.69159)  0.07
H (2.19897, 2.30543, 2.76124)  0.10
H (3.65921, 4.14388, 2.00677)  0.11
H (2.99618, 5.54308, 0.08186)  0.11
H (0.85865, 5.11536, -1.08525)  0.11
H (-0.59833, 3.26878, -0.35067)  0.08
H (-2.72817, 2.89836, 1.30007)  0.09
H (-4.26663, 4.14478, 2.76934)  0.11
H (-3.97922, 4.05227, 5.22303)  0.12
H (-2.15547, 2.71382, 6.20877)  0.12
H (-0.60839, 1.48164, 4.77608)  0.10
H (-0.90843, -1.86319, 3.49193)  0.08
H (-1.36768, -4.08428, 4.45330)  0.11
H (0.10091, -5.99753, 3.91067)  0.12
H (2.05532, -5.67574, 2.42919)  0.12
H (2.56128, -3.44849, 1.51885)  0.11
H (2.76513, -1.20662, 3.96005)  0.11
H (5.11658, -0.72336, 4.46287)  0.12
H (6.63885, 0.06147, 2.67820)  0.12
H (5.79150, 0.38144, 0.37858)  0.11
H (3.42416, -0.03568, -0.12484)  0.02
C (-4.59902, -0.90783, 2.13566)  -0.01
C (-5.50307, -0.25300, 1.31776)  -0.01
C (-5.02738, 0.47260, 0.24019)  0.01
C (-3.66319, 0.51571, 0.00790)  -0.25
N (-2.79225, -0.13636, 0.77750)  0.01
C (-3.25521, -0.82923, 1.82382)  -0.11
C (-3.06193, 1.28379, -1.11568)  -0.21
C (-3.76948, 2.25247, -1.80587)  0.02
*/

[Done]
2